Missing \(E_T\)

The missing energy is the last of the calibrated collections we will discuss. And, from a technical point of view, different from the other calibrated objects we’ve discussed in several respects:

  • It depends on pretty much all other objects in the event. So if you apply a correction to another object, you are forced to recalculate the Missing \(E_T\).

********
(1)
DFT (ωB97M-V/def2-TZVPD) results for an isolated ion of composition C5H14N2 and charge +1 in a non-equilibrium geometry.

CARTESIAN COORDINATES (ANGSTROEM)
1 N 1.26 0.22 -0.78
2 C -0.08 -0.29 -0.26
3 C -0.27 -0.02 1.18
4 C -0.13 1.43 1.59
5 C -1.16 2.46 1.09
6 C -0.06 -1.88 -0.71
7 N 0.46 -1.97 -2.03
8 H 1.92 0.22 0.07
9 H 1.38 -0.26 -1.66
10 H -0.94 0.02 -0.89
11 H -1.39 -0.33 1.34
12 H 0.46 -0.58 1.82
13 H 0.94 1.78 1.72
14 H -0.37 1.40 2.67
15 H -0.78 2.88 0.10
16 H -2.12 1.95 0.97
17 H -1.27 3.33 1.69
18 H 0.56 -2.59 0.05
19 H -1.21 -1.98 -0.52
20 H -0.33 -2.01 -2.71
21 H 1.35 -1.71 -2.32

Results
**ΔE to the lowest compared entry with this formula, charge and spin**: 2.567 eV
**Orbital gap (alpha / beta)**: 11.6193 / 6.3072 eV
**Total charge**: +1
**2S+1**: 2

(2)
DFT (ωB97M-V/def2-TZVPD) results for a single C6H12OSi molecule in a non-equilibrium geometry.

CARTESIAN COORDINATES (ANGSTROEM)
1 C 3.12 -1.28 -0.03
2 C 2.33 -0.44 0.33
3 C 1.40 0.63 0.55
4 O 1.73 1.75 -0.24
5 Si -0.71 0.04 0.13
6 C -1.70 1.64 0.20
7 C -1.13 -1.47 1.26
8 C -0.71 -0.45 -1.66
9 H 3.63 -2.13 -0.21
10 H 1.35 0.96 1.61
11 H 1.70 1.49 -1.10
12 H -2.76 1.77 -0.28
13 H -1.83 2.13 1.18
14 H -1.05 2.27 -0.42
15 H -0.17 -1.64 1.70
16 H -1.78 -1.32 2.11
17 H -1.52 -2.47 0.85
18 H 0.06 -1.20 -1.64
19 H -1.58 -0.75 -2.19
20 H -0.39 0.48 -2.16

Results
**SMILES**: C#C[C@@H](O)[Si](C)(C)C
**ΔE to the lowest compared entry with this formula, charge and spin**: 3.476 eV
**Orbital gap**: 9.6366 eV

(3)
DFT (ωB97M-V/def2-TZVPD) results for an isolated ion of composition C3N2O4 and charge -2 in a non-equilibrium geometry.

CARTESIAN COORDINATES (ANGSTROEM)
1 C -1.73 0.61 0.08
2 C -1.27 -0.60 0.19
3 C 1.46 0.68 0.03
4 N -2.62 1.37 0.06
5 N -0.29 -1.28 -0.14
6 O 2.43 1.18 -0.60
7 O 1.03 -0.50 -0.58
8 O 1.03 1.03 1.14
9 O -0.04 -2.48 -0.18

Results
**ΔE to the lowest compared entry with this formula, charge and spin**: 3.453 eV
**Orbital gap**: 6.9006 eV
**Total charge**: -2

(4)
DFT (ωB97M-V/def2-TZVPD) results for C9H16LiN7S2 as an isolated structure in a non-equilibrium geometry.

CARTESIAN COORDINATES (ANGSTROEM)
1 Li -0.75 -0.87 -0.23
2 N -2.12 -1.66 -1.04
3 C -3.27 -1.88 -1.15
4 N -4.43 -2.27 -1.34
5 C -5.60 -1.78 -1.15
6 N -6.69 -1.40 -1.01
7 C 0.80 2.71 1.76
8 N -0.59 2.41 1.53
9 C -1.38 3.26 0.67
10 C -2.68 2.46 0.48
11 N -2.27 1.14 0.90
12 C -1.09 1.16 1.55
13 S -0.38 -0.15 2.26
14 H 1.36 2.65 0.82
15 H 1.19 1.97 2.46
16 H 0.89 3.70 2.19
17 H -0.86 3.42 -0.28
18 H -1.56 4.23 1.14
19 H -3.02 2.45 -0.56
20 H -3.49 2.85 1.11
21 H -2.96 0.42 1.07
22 C 3.37 -0.61 1.02
23 N 3.18 -1.45 -0.14
24 C 2.21 -1.22 -1.04
25 S 1.33 0.20 -1.02
26 N 2.01 -2.11 -2.02
27 C 2.77 -3.32 -2.24
28 H 4.34 -0.83 1.46
29 H 2.58 -0.79 1.77
30 H 3.32 0.43 0.72
31 H 3.58 -2.38 -0.10
32 H 1.30 -1.86 -2.70
33 H 3.84 -3.09 -2.33
34 H 2.44 -3.78 -3.16
35 H 2.63 -4.03 -1.42

Results
**ΔE to the lowest compared entry with this formula, charge and spin**: 0.889 eV
**Orbital gap**: 8.0688 eV

(5)
********

  • It is stored as a collection of Missing \(E_T\) objects. There are a number of different Missing \(E_T\) types in a typical DAOD_PHYS file. As this was written, one could fine MET_Truth, MET_Track, MET_Core_AntiKt4EMTopo, and MET_Core_AntiKt4EMPFlow.

  • That missing \(E_T\) stored in the event is not usable. It is called the Core missing \(E_T\). An algorithm must be run to reconstruct the real event missing \(E_T\) in order to make this work.

Thus, the ServiceX backend must build the missing \(E_T\) tools to build a proper missing \(E_T\) before use.

import matplotlib.pyplot as plt
from config import ds_zee as ds

To grab the corrected missing \(E_T\) value we use the .First() func_adl predicate as below.

events = (ds
          .Select(lambda e: e.MissingET().First().met()/1000.0)
plt.hist(events.met, bins=100, range=(0, 100))
plt.xlabel('Missing $E_T$ [GeV]')
plt.ylabel('Number of events')
_ = plt.title(r'Truth Missing $E_T$ distribution for $Z\rightarrow ee$ events')

Rebuilding MET

Only the default Missing \(E_T\) is currently supported (built using the proper core for the jet collection you’ve used, and jets, electrons, and muons as input to the algorithm). Different missing \(E_T\) calculations are not yet simply supported. Please see this github issue for a discussion. It basically comes down to - what is a sensible way to do this without making it too “magic”. Before designing an API a number of use cases need to be collected.

The Datamodel

The data model when this documentation was last built was:

from func_adl_servicex_xaodr21.xAOD.missinget_v1 import MissingET_v1
Help on class MissingET_v1 in module func_adl_servicex_xaodr21.xAOD.missinget_v1:

class MissingET_v1(builtins.object)
 |  A class
 |  Methods defined here:
 |  clearDecorations(self) -> 'bool'
 |      A method
 |  hasNonConstStore(self) -> 'bool'
 |      A method
 |  hasStore(self) -> 'bool'
 |      A method
 |  index(self) -> 'int'
 |      A method
 |  met(self) -> 'float'
 |      A method
 |  mpx(self) -> 'float'
 |      A method
 |  mpy(self) -> 'float'
 |      A method
 |  name(self) -> 'func_adl_servicex_xaodr21.str.str'
 |      A method
 |  nameHash(self) -> 'int'
 |      A method
 |  phi(self) -> 'float'
 |      A method
 |  sumet(self) -> 'float'
 |      A method
 |  usingPrivateStore(self) -> 'bool'
 |      A method
 |  usingStandaloneStore(self) -> 'bool'
 |      A method
 |  ----------------------------------------------------------------------
 |  Readonly properties defined here:
 |  auxdataConst
 |      A method
 |  isAvailable
 |      A method
 |  ----------------------------------------------------------------------
 |  Data descriptors defined here:
 |  __dict__
 |      dictionary for instance variables (if defined)
 |  __weakref__
 |      list of weak references to the object (if defined)

Further Information